Official Report
Tondzaosha Police Station
Tondzaosha, Idaho
Magic implements thrummed and throbbed with barely contained energies. Trapped souls, failed experiments, and creatures borne of dark sorcery, each more gruesome than the last populated Daisy’s laboratory. She regarded each in turn and her lips curled into a soft, innocent smile.
When she first came to this world, she’d lost decades of researched and hundreds of carefully cataloged magical artifacts, most of which had, no doubt, been destroyed after her defeat by Kruhl and Reesha. Her heart still seethed from the loss, but there was no hope of recovering what was gone. So she’d started anew. Most of her experiments were failures, but even when she mis-stepped she learned something helpful.
She moved past Amelia van den Broeke’s inert form sprawled across a stretcher wheeled in by one of her cronies and regarded the sweet-looking young girl in the mirror mounted on the opposite wall. So many had under-estimated her, and with all but a few exceptions they were dead or subverted to serve her.
She moaned, licking her soft feminine mouth, a shiver of excitement working up and down her spine at the thought of bending one more mind to her will. She bit her lip and gazed at the agent. Such an attractive woman, she thought. Perhaps Van den Broeke would make an able lover. She looked forward to finding out.
She moved to stand above the stretcher, planted her staff in the ground and slid her fingers across Amelia’s stomach. The sorceress shuddered in pleasure as her magic pulsated about the room.
She knew from her mole within AEGIS that agents underwent training to resist mind control techniques, but breaching the agent’s consciousness had been far easier than she’d expected. The sorceress had been looking forward to the challenge of bending and shaping a consciousness, and though she had yet to initiate the magics which would subvert the other, it was only a matter of time before she shattered the rest of her resistance and her mind would be hers to do with as she pleased. How very disappointing, she’d been expecting more of a challenge.
She stood, staff alight, her magic coursing through Amelia’s mind. Only a little longer and the agent would be ready. Then she would—
An explosion of shattering glass resounded in the distance and Daisy froze, craning her neck back toward the door.
Her mouth creased into a frown and then a scowl when two more explosions rang out, each louder than the one before. This could only Leoffa’s doing. She clenched her teeth and rushed out of the room, staff aglow. Amelia’s inert form all but forgotten.

Gunfire rang out all around them, and Kruhl grated her teeth, ducking in front of the Diadem’s bumper for cover. Teressa grunted and dove beside her, panting for breath.
A barrage of weapons fire had foiled their attempt to return to the car. Kruhl didn’t know whether it was blind luck or intuition, but the warriors of the police clan had hemmed them in, somehow navigating through the dense haze which Teressa summoned. Now the pair lay about like sitting geese, vulnerable to attack. Neither of the women carried a weapon, and though Kruhl had once been a formidable warrior, she did not like her chances.
Nevertheless, when the first police clan attacker came into sight, she leapt up and rushed him, hoping to catch the man by surprise. Kruhl dealt the first blow, but it barely seem to faze her opponent. The police warrior swung toward her and slammed the butt of his weapon into the side of her face. His attack sent her flailing and she fell, throwing her arms out to catch herself before her face hit the ground, but not soon enough to prevent her breasts from impacting with a sharp burst of pain.
Though her face and chest throbbed in agony, Kruhl rolled onto her side and scrambled back to her feet, bracing herself for another assault, but it never came. Teressa lurched forward, grappling with the man. Kruhl rushed toward her, thinking to help, but her companion kneed the man in the groin and he crumbled to the ground like a sack of turnips.
Teressa bent over, retrieving something dangling from his belt and held it before Kruhl, jangling a small ring with three narrow flat objects, which Kruhl supposed were keys.
Kruhl arched an eyebrow, “The locker?”
“Only one way to find out,” Teressa replied, arching an eyebrow.
She bent over retrieving the officer’s gun, before slamming the butt against the side of his head, and rushed away, making a beeline for the back of the evidence locker.
Kruhl regarded her with wide eyes, her face stretching into a grin as she followed suit. Magnificent! Teressa was indeed a warrior at heart.
The once-king found Teressa, knelt down on the floor, already trying the keys in the lock, but when the other woman cursed in frustration and tossed them over her shoulder, Kruhl’s heart sank.
“Fuck, fuck, fuck.” Teressa gritted her jaw, her eyes burning with rage. “We can’t seriously be this close, and not—”
She stopped, staring down at the fire stick, the flames in her gaze burning even brighter. She licked her lips and raised the weapon. “Maybe… there’s still a way.”
With no prompting, she took aim and opened fire. A loud bang rang through the air and Kruhl brought her hands up to her ears, too late to muffle the sound. She only took her eyes off the locker for a moment, but when her gaze again fell on it, Teressa was swinging the door open.
Teressa reached inside, drawing Waldere free from the metal enclosure and extended it toward the former king, its polished steel surface gleaming. Kruhl regarded the weapon, eyes wide, hand shaking as she clasped it about the grip. Her grip couldn’t even reach all the way around.
All this time she’d been so eager to retrieve the sword, but had put no thought into what she would do once she had it. Defeat Odalrik, sure, but she didn’t consider how she might accomplish such a task. How might she make use of the sword? It was almost as long as she was tall. It possessed magic, but such power was most effective when used with the weapon’s more mundane aspect, the blade itself.
Kruhl grunted, pulling the weapon up off the ground. Gods, it was heavy! She held it up for several seconds, her muscles burning, before grunting and setting it back down.
So weak… She scowled. Of all the forms she could have worn, why this one? Even if she were to train and strengthen her body, her frail little frame would never be suitable for combat. She was just too small. Even at her physical peak, anyone she was likely to face would be stronger than her. It was the most sobering realization Kruhl had ever made, and it hit as if it were an actual blow to the gut.
## Next to the article, the page also holds calculated crystals
1.
This entry pairs a crystal structure of Li7ZnGa3 with its computed powder XRD pattern. Radiation: Cu Ka. Structure: DFT lattice parameters and positions (PBE).

Structural model:
```
Li7ZnGa3
1.0
1.345 -10.768 0.000
1.345 10.768 0.000
0.000 0.000 13.102
Li Zn Ga
14 2 6
Direct
0.052 0.948 0.636
0.052 0.948 0.864
0.090 0.910 0.085
0.090 0.910 0.415
0.189 0.811 0.750
0.220 0.780 0.092
0.220 0.780 0.408
0.780 0.220 0.592
0.780 0.220 0.908
0.811 0.189 0.250
0.910 0.090 0.585
0.910 0.090 0.915
0.948 0.052 0.136
0.948 0.052 0.364
0.464 0.536 0.750
0.536 0.464 0.250
0.342 0.658 0.750
0.344 0.656 0.068
0.344 0.656 0.432
0.656 0.344 0.568
0.656 0.344 0.932
0.658 0.342 0.250
```

Top 12 peaks for 2θ = 5–70°, low angle first:
| two_theta | intensity |
| --- | --- |
| 10.63 | 18 |
| 15.83 | 23 |
| 16.46 | 24 |
| 21.96 | 100 |
| 24.81 | 33 |
| 33.57 | 21 |
| 35.64 | 15 |
| 39.32 | 45 |
| 39.56 | 44 |
| 41.35 | 23 |
| 44.78 | 30 |
| 49.62 | 16 |

2.
This entry pairs a crystal structure of Li5Zn2Ga2 with its computed powder XRD pattern. Radiation: Cu Ka. Structure: DFT lattice parameters and positions (PBE).

Structural model:
```
Li5Zn2Ga2
1.0
-7.507 3.621 2.733
7.507 -3.621 2.733
7.507 3.621 -2.733
Li Zn Ga
10 4 4
Direct
0.125 0.084 0.209
0.125 0.416 0.541
0.502 0.160 0.162
0.502 0.840 0.842
0.505 0.501 0.503
0.875 0.584 0.459
0.875 0.916 0.791
0.998 0.001 0.497
0.998 0.340 0.838
0.998 0.660 0.158
0.493 0.664 0.165
0.493 0.828 0.330
0.499 0.164 0.670
0.499 0.328 0.835
0.130 0.751 0.879
0.498 0.498 0.000
0.498 0.998 0.500
0.872 0.251 0.121
```

Top 12 peaks for 2θ = 5–70°, low angle first:
| two_theta | intensity |
| --- | --- |
| 11.79 | 32 |
| 13.57 | 27 |
| 20.36 | 100 |
| 24.58 | 49 |
| 32.77 | 49 |
| 34.70 | 14 |
| 40.86 | 55 |
| 41.39 | 33 |
| 41.61 | 96 |
| 43.99 | 30 |
| 55.92 | 22 |
| 64.58 | 24 |
## Back to the article
She released her hold, took a step back and peered down at her tiny hands. Her new body, with its wide hips and soft curves, was better suited to bearing children than combat. Kruhl met Teressa’s gaze, and swallowed, a pit forming in her stomach as she realized what she must do. The younger Van den Broeke sister was a better fit to defeat Odalrik, she’d survived for a long time against his repeated attempts to enthrall her and, if the way she’d carried herself against the police warrior was any sign, she would do well on the battlefield. She was tall for a human woman and well built. She may very well possess the strength necessary.
The weapon’s magic only permitted those deemed worthy to wield its power, but if Kruhl relinquished it to Teressa, it would recognize her as its rightful wielder.
“What’s the matter?” Teressa asked, her brows furrowed.
“I-I don’t think I am meant to bear Waldere,” Kruhl peered back at her, tears now streaming down her face. She gritted her teeth, rocking her head back and forth. “Not anymore.”
“You must take the blade,” Kruhl continued grabbing the handle and thrusting the pommel at Teressa. “It’s yours.”
Teressa gazed at Kruhl and blinked. Then a slow, malicious smile stretched over her lips and she erupted into a fit of hysterical laughter. She jerked the weapon out of the once-king’s hands. Kruhl realized at once something was amiss, but it was too late.
“That was much easier than I expected,” Teressa said, her voice seething with malicious glee as she thrust the blade out and through Kruhl’s abdomen.
Blood gurgled from Kruhl’s lips and she fixed her gaze on the other woman, her mouth agape. “Why?”
Teressa clenched her jaw and shoved the blade deeper. “You always were a little dense Kruhl, but I wouldn’t expect you to recognize me, not after all these years and certainly not in this body.”
The other leaned in, her lips brushing against Kruhl’s ear. “It doesn’t feel so good does it? Betrayed by someone you care about. All this time I’ve waited, hoping for a chance at revenge, and then out of the blue there you are again. You stabbed me through the gut and left me for dead. It’s only fitting I return the favor.”
Teressa jerked her arm back, sliding the blade free from Kruhl’s stomach and for the briefest of moments she remained standing, recognition marking her face before her eyes grew wide in terror.
Before she could topple over, Teressa grabbed Kruhl by the collar of her shirt, her face contorted in rage. “Say my name Kruhl.”
“Leoffa,” Kruhl repeated the name and a grim, satisfied smile crept across the other woman’s face. She threw Kruhl away from her and the once-king slammed into the ground, blood spewing from her wound. A shock of pain racked her body as she impacted the floor. Her head rebounded twice before it settled in place. A thousand questions were on the tip of her tongue, but Teressa turned away at the sound of footsteps.
“Well, what a nice little reunion this is,” a light, feminine voice called out.
Kruhl tried to prop herself up to get a better view, but fell back over, clutching at her stomach, attempting to keep her entrails from spewing out.
She could already feel the end coming. Soon Dohan would come, mounted upon her terrible black steed, and carry her away into the afterlife…
There are 3 comments
I love this story, so glad I discovered it! Ugh, I can’t wait for the next part! The only bad part is, I have to wait another week to read the next chapter. Good job!
Such a disappointment for the ex king, to gain some hope and an ally – and then have it snatched away again. He could enjoy seeing Daisy and Leoffa facing off, should he live long enough.
Poor Kruhl, I really have been hard on her haven’t I? Hopefully soon, things will take a better turn for the once-king. 😉